[To do]
Now echo all of the rows further down unchanged.

[Excerpt]
{
  "formula": "C51H64Ge2IrN8O2PSSe",
  "method": "the ωB97M-V functional and the def2-TZVPD basis",
  "e_above_lowest_kj_mol": 0.0,
  "charge": 1,
  "s_squared": 8.799,
  "homo_lumo_gap_ev": [5.057, 5.202],
  "homo_energy_ev": [-8.103, -9.901],
  "spin_multiplicity": 6,
  "symbols": ["Ir", "O", "S", "O", "N", "C", "C", "C", "C", "C", "C", "C", "C", "N", "C", "C", "C", "C", "C", "C", "C", "H", "H", "H", "H", "H", "H", "H", "H", "H", "H", "H", "Se", "N", "C", "C", "C", "C", "C", "C", "N", "H", "H", "H", "H", "N", "P", "N", "C", "C", "C", "C", "C", "N", "C", "C", "C", "C", "C", "N", "C", "C", "C", "C", "C", "H", "H", "H", "H", "H", "H", "H", "H", "H", "H", "H", "H", "H", "H", "H", "H", "H", "H", "H", "H", "H", "H", "H", "H", "H", "H", "H", "H", "H", "H", "C", "Ge", "C", "C", "Ge", "C", "C", "C", "C", "C", "C", "C", "C", "C", "C", "C", "C", "H", "H", "H", "H", "H", "H", "H", "H", "H", "H", "H", "H", "H", "H", "H", "H", "H", "H", "H"],

[Here it is]
{
  "formula": "C51H64Ge2IrN8O2PSSe",
  "method": "the ωB97M-V functional and the def2-TZVPD basis",
  "e_above_lowest_kj_mol": 0.0,
  "charge": 1,
  "s_squared": 8.799,
  "homo_lumo_gap_ev": [5.057, 5.202],
  "homo_energy_ev": [-8.103, -9.901],
  "spin_multiplicity": 6,
  "symbols": ["Ir", "O", "S", "O", "N", "C", "C", "C", "C", "C", "C", "C", "C", "N", "C", "C", "C", "C", "C", "C", "C", "H", "H", "H", "H", "H", "H", "H", "H", "H", "H", "H", "Se", "N", "C", "C", "C", "C", "C", "C", "N", "H", "H", "H", "H", "N", "P", "N", "C", "C", "C", "C", "C", "N", "C", "C", "C", "C", "C", "N", "C", "C", "C", "C", "C", "H", "H", "H", "H", "H", "H", "H", "H", "H", "H", "H", "H", "H", "H", "H", "H", "H", "H", "H", "H", "H", "H", "H", "H", "H", "H", "H", "H", "H", "H", "C", "Ge", "C", "C", "Ge", "C", "C", "C", "C", "C", "C", "C", "C", "C", "C", "C", "C", "H", "H", "H", "H", "H", "H", "H", "H", "H", "H", "H", "H", "H", "H", "H", "H", "H", "H", "H"],